Format, Style and Reference Guidelines

Layout and formatting
Special instructions for language papers; Sections; Tables, figures, and maps; Notes and acknowledgements

Language and style
Spelling; Serial commas; Quotations and punctuation; Italics; Abbreviations and acronyms; Numbers and dates

In-text citations; Archival sources; List of references; Sample references



Prior to publication, NJAS will format your paper according to our in-house stylesheet. Please keep your own formatting as simple as possible. Because we are a multidisciplinary journal, our formatting and reference instructions may be slightly different from common conventions in any particular discipline. Please read and follow the guidelines carefully.

Linguistics papers

We have a short set of special formatting instructions for linguistics papers. Papers that do not follow these guidelines will not be accepted for publication. 

Examples with interlinear glossing should be aligned using tabs, not spaces.

If your paper has complex formatting or extensive use of special characters, please also send us a reference pdf, if your paper is accepted for publication.


Please do NOT use automatic numbering or formatting styles for sections or examples in MS Word.

Numbering of subsections should be used at the discretion of the author in consultation with the responsible subject editor. In general, linguistics papers use section numbers while humanities-themed papers do not, but please consult with your section editor in case of doubt. 

Tables, figures, and maps

Tables, figures, and maps should be numbered (Table 3, Figure 6, etc.) and accompanied by a caption. Table captions should appear above and figure and map captions below the item. Graphics can be included in the manuscript itself, or submitted as separate electronic files with their place clearly indicated in the main text. For final publication, pictures and maps should be submitted as separate, high-quality files (TIFF or vector images if at all possible). Please only include images and maps for which you have unrestricted publication permissions, and refer to our guidelines for illustrations.

Notes and acknowledgements

Use footnotes rather than endnotes. Footnotes should be numbered consecutively throughout the text. 

Acknowledgements should be presented in a footnote on the first page, preceding any other footnotes. All contributors to the research (research participants, interviewees, funders, etc.) should be acknowledged appropriately. Please discuss this with your subject editor if you are not sure of the best way to do this. Acknowledgements can be omitted from the anonymized review version of the paper, but should be added as appropriate before final publication.

LANGUAGE AND STYLE     Back to top


Use British spelling conventions (e.g. colour, neighbour, programme) and -ize endings (e.g. theorize, recognize, but analyse, paralyse).

Serial commas

Use the serial (Oxford) comma for items in a list (e.g. Mali, Nigeria, and Somalia; feminine, masculine, or neuter).

Quotations and punctuation

Use double quotation marks for quotes, with single for quotes within quotes (e.g. “the ‘new’ regime”). 

Quotations of more than 50 words should be set as block quotations (extracts), indented with no quotation marks. Do not enclose extracts in quotation marks. Where there are quotes within the extracts, use single quotation marks.

Use an ellipsis in brackets (…) to indicate content omitted from a quotation:

e.g. “The first of these is to defuse (…) the potential hostility of silence in situations where speech is conventionally anticipated” (Laver 1992, 301). 

In quotations from interviews, an ellipsis without brackets … may be used to indicate a pause in speech.

Use single quotation marks for glosses and translations (e.g. ruma ‘house’), newly introduced terminology, and scare quotes (e.g. when used ‘ironically’).

For parenthetical dashes use an en dash with spaces before and after: 

e.g. “Observers and activists accuse these governments – often authoritarian – of using these justifications to clamp down on political opposition.”


Use italics for emphasis and for foreign words (with translations in single quotation marks). Italics should also be used for titles of books, journals, films, and TV programmes:

e.g. this issue of the Nordic Journal of African Studies; the film The Gods Must Be Crazy; Berlin and Kay’s book Basic Color Terms 

Article and chapter titles should be referred to in double quotation marks (i.e. works should be referred to using the same style – italics or quotation marks – as used in the references).

e.g. Dell Hymes, in his seminal article “The Ethnography of Speaking” (1962)

Abbreviations and acronyms

Abbreviations, acronyms and other conventions (e.g. capitalization) should be used consistently throughout the paper. Acronyms should be spelt out at the first occurrence, and typed without full points, e.g. USA (not U.S.A.).

Abbreviations such as e.g. and i.e. may be used to present information in parentheses (with no comma following) but should not be used in running text.

Numbers and dates

Spell out the numbers one to ten; use digits thereafter. Separate thousands with commas, not periods (e.g. 1,256). Use points rather than commas for decimals (e.g. 0.032).

Separate number spans (both dates and page numbers) with en dashes (e.g. 1768–1787). Do not contract number spans (e.g. 130–136, not 130-6).

All dates should be in the format October 4, 2019.

REFERENCES     Back to top

In-text citations

NJAS uses the Chicago referencing style (author-date system). The examples below are provided for guidance. A full guide can be found here:

In-text citations should follow the form (Wolff 1981, 244–246), or “... on the origin of Bantu languages, Guthrie (1971, 13) stated...”.

# Next to the text, the page also holds crystal structures
........
No. 1
! PBE-GGA MgFe2S4, relaxed; values from VASP
! Spin magnetization = 1.99 μB per formula unit
! Calculated total energy = -5.5747 eV/atom
&SYSTEM
  ibrav = 0, nat = 14, ntyp = 3
/
ATOMIC_SPECIES
Mg 24.30 Mg.upf
Fe 55.84 Fe.upf
S 32.06 S.upf
ATOMIC_POSITIONS angstrom
Mg 4.9297 4.9297 4.9297
Mg 7.3946 7.3946 7.3946
Fe 1.2324 1.2324 1.2324
Fe 1.2324 3.6973 3.6973
Fe 3.6973 1.2324 3.6973
Fe 3.6973 3.6973 1.2324
S 3.5295 3.5295 3.5295
S 8.7948 5.9944 5.9944
S 5.9944 5.9944 8.7948
S 5.9944 8.7948 5.9944
S 6.3299 6.3299 3.5295
S 6.3299 3.5295 6.3299
S 8.7948 8.7948 8.7948
S 3.5295 6.3299 6.3299
CELL_PARAMETERS angstrom
0.0000 4.9297 4.9297
4.9297 0.0000 4.9297
4.9297 4.9297 0.0000

No. 2
! PBE-GGA MgFe4Sb4S4, relaxed; values from VASP
! Spin magnetization = 2.00 μB per formula unit
! Offset from the most stable computed form = 0.00 kJ/mol of atoms
&SYSTEM
  ibrav = 0, nat = 13, ntyp = 4
/
ATOMIC_SPECIES
Mg 24.30 Mg.upf
Fe 55.84 Fe.upf
Sb 121.76 Sb.upf
S 32.06 S.upf
ATOMIC_POSITIONS angstrom
Mg 3.0713 0.3796 3.6953
Fe 4.1371 0.9459 6.6803
Fe 2.7416 -2.2381 3.9371
Fe 2.1321 -0.1617 0.5539
Fe 3.5230 2.9732 3.2478
Sb 5.1604 -1.3006 3.0922
Sb 1.0814 2.1576 4.1717
Sb 3.3921 -3.8679 2.0719
Sb 2.8778 4.6172 5.1668
S 1.5087 -0.9525 2.5302
S 4.7711 1.6963 4.6788
S 2.6337 -0.7091 6.0013
S 3.6232 1.4944 1.2713
CELL_PARAMETERS angstrom
-0.9588 1.1064 5.8722
3.4640 -5.3251 1.2884
3.5224 5.2336 -0.1721

No. 3
! PBE-GGA MgFe4Sb4S4, relaxed; values from VASP
! Spin magnetization = 0.08 μB per formula unit
! Offset from the most stable computed form = 0.08 kJ/mol of atoms
&SYSTEM
  ibrav = 0, nat = 13, ntyp = 4
/
ATOMIC_SPECIES
Mg 24.30 Mg.upf
Fe 55.84 Fe.upf
Sb 121.76 Sb.upf
S 32.06 S.upf
ATOMIC_POSITIONS angstrom
Mg -3.0938 -3.4601 -0.5470
Fe -6.0454 -4.8907 -0.7728
Fe -3.0354 -2.8848 -3.0560
Fe -0.1421 -2.0295 -0.3212
Fe -3.1522 -4.0354 1.9621
Sb -2.0730 -5.3002 -2.2076
Sb -4.1145 -1.6200 1.1136
Sb -0.7721 -3.1068 -4.2620
Sb -5.4154 -3.8135 3.1680
S -2.0434 -1.5391 -1.4332
S -4.1441 -5.3811 0.3392
S -5.2285 -3.0799 -2.0478
S -0.9590 -3.8404 0.9539
CELL_PARAMETERS angstrom
-5.9788 0.2601 -0.0923
0.1478 -3.0337 -5.6886
-0.3565 -4.1467 4.6870

No. 4
! PBE-GGA MgFe4Sb4S4, relaxed; values from VASP
! Spin magnetization = 2.01 μB per formula unit
! Offset from the most stable computed form = 3.51 kJ/mol of atoms
&SYSTEM
  ibrav = 0, nat = 13, ntyp = 4
/
ATOMIC_SPECIES
Mg 24.30 Mg.upf
Fe 55.84 Fe.upf
Sb 121.76 Sb.upf
S 32.06 S.upf
ATOMIC_POSITIONS angstrom
Mg -0.0011 0.0533 3.1681
Fe 5.9172 4.1033 2.8429
Fe 3.0958 4.0195 -0.3639
Fe 0.0679 1.7512 1.1988
Fe 2.8894 1.8350 4.4055
Sb 2.3319 4.9520 2.0472
Sb 3.6533 0.9025 1.9944
Sb 0.9284 4.9191 -1.3925
Sb 5.0567 0.9355 5.4342
S 2.1017 2.1201 0.1841
S 3.8834 3.7344 3.8576
S 5.1362 3.5773 0.6419
S 0.8490 2.2773 3.3998
CELL_PARAMETERS angstrom
6.0570 -0.0767 -0.0034
-0.0696 5.8246 -2.2912
-0.0023 0.1066 6.3362

No. 5
! PBE-GGA MgTl2Fe2S4, relaxed; values from VASP
! Spin magnetization = 0.00 μB per formula unit
........
# Back to the text

Multiple citations should be separated by commas for works by the same author and semicolons for works by different authors: (Silverstein 1976, 2003; Blommaert 2007). 

Where possible, list references in chronological order, oldest first.

Use “and” rather than ampersand for two authors: (Matras and Sakel 2007).

Use “et al.” for three or more authors – e.g. Appiah et al. (2000) – but be sure to provide all authors’ names in the reference list. 

Avoid the use of ibid., f., or ff.

Please check that all (and only) the sources cited in the text are included in the references.

Interviews should be referenced in the text as follows: (Name of interviewee, interview, date of interview). For example, (Maria Jonas, interview, March 1, 2016).

Archival sources

Archival sources should to be cited in footnotes. This format should be used:

Title or description of item, date (day, month, year), Reference code, Collection name, Repository name, Location of repository. URL if applicable.

For example:

J. A. H. Wolff, PC RVP, to A. A. A. Ekirapa for DC, Nandi, February 1963, DC/KPT/2/13/4, Kenya National Archives (KNA), Nairobi.

List of references

NJAS uses the Chicago referencing style (author-date system). The examples below are provided for guidance. A full guide can be found here:

The list of references or bibliography should be presented in one list in alphabetical order. Please format your references carefully following Chicago style guidelines, and note in particular the following conventions: 


Amadiume, Ifi. 1997. Reinventing Africa: Matriarchy, Religion and Culture. Zed Books.

Poulos, George, and Christian T. Msimang. 1998. A Linguistic Analysis of Zulu. Via Afrika.

Richter, Roxane, Thomas Flowers, and Elias Bongmba. 2017. Witchcraft as a Social Diagnosis: Traditional Ghanaian Beliefs and Global Health. Lexington Books.


Flight, Colin. 1988. “Bantu Trees and Some Wider Ramifications. African Languages and Cultures 1 (1): 25–43.

Chapters in books

Mbembe, Achille. 2006. “Variations on the Beautiful in Congolese Worlds of Sound.” In Beautiful/Ugly: African and Diaspora Aesthetics, edited by Sarah Nuttall, 60–93. Duke University Press.

Edited volume

Nassenstein, Nico, and Anne Storch, eds. 2020. Swearing and Cursing: Contexts and Practices in a Critical Linguistic Perspective. Vol. 22. Walter de Gruyter.

Online media articles

Burayu, W. 2020. “Qeerroo: From ‘Revolt Against Subjugation’ to ‘Popular Uprising Against Tyranny’.” Ethiopia Insight, 03/09/2020. Accessed November 5, 2021.

Recorded fieldwork interviews

Name of interviewee, interview by [name(s) of interviewer(s)], place of interview, date of interview.

Maria Jonas, interview by Helena Chaibo, Cape Town, March 1, 2016.

Note that interviews should be cited in the reference list, as it allows for shorter in-text citations, which improve the readability of the text.


Orr, Rodney Hugh. 1998. “African American Missionaries to East Africa 1900-1926: A Study in the Ethnic Reconnection of the Gospel.” PhD diss., University of Edinburgh.